An Unreached People Group Being Reached

An Unreached People Group Being Reached

**Data records from another source follow:**
____________
! LaCdSi2 (PBE, relaxed); values from VASP
! - Theoretical density: 5.02 Mg/m³
! - Formation energy from raw total energies: -0.14 eV/f.u.
! - Space-group type: No. 122
! - Fermi-level density of states: 2.1 states/eV/f.u.
&SYSTEM
  ibrav = 0, nat = 8, ntyp = 3
/
ATOMIC_SPECIES
La 138.91 La.upf
Cd 112.41 Cd.upf
Si 28.09 Si.upf
ATOMIC_POSITIONS crystal
La 0.000 0.000 0.000
La 0.750 0.250 0.500
Cd 0.250 0.750 0.500
Cd 0.500 0.500 0.000
Si 0.257 0.625 0.132
Si 0.375 0.507 0.632
Si 0.493 0.125 0.868
Si 0.875 0.743 0.368
CELL_PARAMETERS angstrom
-2.391 2.391 8.900
2.391 -2.391 8.900
2.391 2.391 -8.900

* * * * *

This record from the Alexandria database describes an optimized crystal structure of K3MgCr2F9. The functional is PBE with a Hubbard U.

a = 5.8867 Å, b = 5.8867 Å, c = 7.2071 Å
α = 90.00°, β = 90.00°, γ = 120.00°
Space group P-3m1 (No. 164)
One atom of each set of equivalent atoms:
K1 0.0000 0.0000 0.0000
K2 0.3333 0.6667 0.6648
Mg1 0.0000 0.0000 0.5000
Cr1 0.3333 0.6667 0.1706
F1 0.0000 0.5000 0.0000
F2 0.1617 0.3234 0.3389

Calculated values
- V (A^3/atom) = 14.419
- uncorrected energy (eV per atom) = -5.284
____________

This past week our team traveled to the mountains and spent the week trekking through villages. About 30 years ago, a team of workers said “yes” to God’s call and brought the Word to a small minority group living in the mountains. While it was a long process filled with trials and persecution, today this people group has churches. They have pastors. They have the Bible in their own language.

Why Mentorship Matters

Why Mentorship Matters

American Dream, Support Raising, Church: these are a few of the many obstacles that young adults experience in going overseas long-term. These were also my obstacles, but when I was 23, I did not know that I had obstacles. In fact, the term “obstacle” was unfamiliar to me. However, through a series of experiences overseas, this term revealed itself to me in a way that I was not prepared for.

The Dream Giver

The Dream Giver

In early November we took our students to a city about 3 hours outside of base town. There we met Magdi, who was our tour guide and gracious host. He's an upper caste Hindu, with strong family affiliation. Our first night with Magdi and his family, one of our students was able to share his personal testimony. Unexpectedly Magdi began sharing about dreams he has personally had about JESUS.

Suffering Produces Endurance

Suffering Produces Endurance

Before this trip I always knew this verse and knew what it meant, but I had never truly experienced it. I had never really suffered. But since I have been in South Asia I have lost two people who I deeply loved back at home. I don't know if I could put into words how much losing them hurts and I probably won't ever be able to. But something amazing happened when I was grieving.

What Do You Want To Be Known For?

What Do You Want To Be Known For?

Here’s a question society loves to answer for us. Just google it. There are pages of ways to not be forgotten and advice on forming your personal brand. It’s at the heart of most marketing. Buy this product and you will be known for this or work at this company and people will think you are that. As humans, we are created with an innate desire for purpose, for an identity. Throughout life we find it in different places: as a professional, parent, student, athlete.

The Biggest Barrier to Going Overseas

The Biggest Barrier to Going Overseas

At Cafe 1040, we identify five major barriers that keep people from transplanting their lives to international locations for the sake of the gospel. Some people see all five barriers at play in their lives, while others identify with one or two. A guest contributor at Desiring God wrote a fantastic article that identifies one of these barriers and how it can be overcome. She even qualifies it as "the biggest barrier to students going to the mission field."

What Coca-Cola Teaches Us About The Gospel

What Coca-Cola Teaches Us About The Gospel

Remember the really famous 'Hilltop' Coca-Cola ad from the '70s about buying the world a Coke? It was a little before my time, but it's one of the most famous ads of all time. It was also the closing scene of the series Mad Men, if that's more your style. The song in the ad also talks about wanting to teach the world to sing in perfect harmony. Definitely from the '70s!

Misplaced data records:
/*
# PBEsol Hf2MgGaN, optimized geometry
# Total energy (eV per atom): -5.7930
data_Hf2MgGaN
_chemical_formula_sum 'Hf2 Mg1 Ga1 N1'
_space_group_name_H-M_alt 'P 4/m m m'
_space_group_IT_number 123
_space_group_name_Hall '-P 4 2'
_cell_length_a 5.152
_cell_length_b 5.152
_cell_length_c 3.559
_cell_angle_alpha 90.00
_cell_angle_beta 90.00
_cell_angle_gamma 90.00
loop_
_atom_site_label
_atom_site_type_symbol
_atom_site_fract_x
_atom_site_fract_y
_atom_site_fract_z
_atom_site_occupancy
Hf1 Hf 0.000 0.500 0.000 1
Mg1 Mg 0.000 0.000 0.000 1
Ga1 Ga 0.500 0.500 0.500 1
N1 N 0.000 0.000 0.500 1

# PBEsol HfMg2GaOs, optimized geometry
# Formation energy (eV/atom): 0.7445
data_HfMg2GaOs
_chemical_formula_sum 'Hf1 Mg2 Ga1 Os1'
_space_group_name_H-M_alt 'P 4/m m m'
_space_group_IT_number 123
_space_group_name_Hall '-P 4 2'
_cell_length_a 4.581
_cell_length_b 4.581
_cell_length_c 4.661
_cell_angle_alpha 90.00
_cell_angle_beta 90.00
_cell_angle_gamma 90.00
loop_
_atom_site_label
_atom_site_type_symbol
_atom_site_fract_x
_atom_site_fract_y
_atom_site_fract_z
_atom_site_occupancy
Hf1 Hf 0.000 0.000 0.000 1
Mg1 Mg 0.000 0.500 0.500 1
Ga1 Ga 0.500 0.500 0.500 1
Os1 Os 0.500 0.500 0.000 1

# PBEsol Hf3MnGa, optimized geometry
# Formation energy (eV/atom): 0.3592
data_Hf3MnGa
_chemical_formula_sum 'Hf3 Mn1 Ga1'
_space_group_name_H-M_alt 'P m -3 m'
_space_group_IT_number 221
_space_group_name_Hall '-P 4 2 3'
_cell_length_a 4.678
_cell_length_b 4.678
_cell_length_c 4.678
_cell_angle_alpha 90.00
_cell_angle_beta 90.00
_cell_angle_gamma 90.00
loop_
_atom_site_label
_atom_site_type_symbol
_atom_site_fract_x
_atom_site_fract_y
_atom_site_fract_z
_atom_site_occupancy
Hf1 Hf 0.000 0.000 0.500 1
Mn1 Mn 0.000 0.000 0.000 1
Ga1 Ga 0.500 0.500 0.500 1

# PBEsol HfZr2MnGa, optimized geometry
# Formation energy (eV/atom): 0.6737
data_HfZr2MnGa
_chemical_formula_sum 'Hf1 Zr2 Mn1 Ga1'
_space_group_name_H-M_alt 'P 4/m m m'
_space_group_IT_number 123
_space_group_name_Hall '-P 4 2'
_cell_length_a 4.982
_cell_length_b 4.982
_cell_length_c 4.384
_cell_angle_alpha 90.00
_cell_angle_beta 90.00
_cell_angle_gamma 90.00
loop_
_atom_site_label
_atom_site_type_symbol
_atom_site_fract_x
_atom_site_fract_y
_atom_site_fract_z
_atom_site_occupancy
Hf1 Hf 0.000 0.000 0.000 1
Zr1 Zr 0.000 0.500 0.500 1
Mn1 Mn 0.500 0.500 0.000 1
Ga1 Ga 0.500 0.500 0.500 1

# PBEsol Hf2Ga2Mo, optimized geometry
# Formation energy (eV/atom): -0.4414
data_Hf2Ga2Mo
_chemical_formula_sum 'Hf4 Ga4 Mo2'
_space_group_name_H-M_alt 'P 4/m b m'
_space_group_IT_number 127
_space_group_name_Hall '-P 4 2ab'
_cell_length_a 6.865
_cell_length_b 6.865
_cell_length_c 3.638
_cell_angle_alpha 90.00
_cell_angle_beta 90.00
_cell_angle_gamma 90.00
loop_
_atom_site_label
_atom_site_type_symbol
_atom_site_fract_x
_atom_site_fract_y
_atom_site_fract_z
_atom_site_occupancy
Hf1 Hf 0.178 0.322 0.000 1
Ga1 Ga 0.126 0.626 0.500 1
Mo1 Mo 0.000 0.000 0.500 1

# PBEsol HfGa2Mo2, optimized geometry
# Formation energy (eV/atom): -0.2712
data_HfGa2Mo2
*/
End of the data records:


So You’re Interested in Missions, Now What?

So You’re Interested in Missions, Now What?

We often get questions from people who are interested in missions and are looking for some next steps. It’s not likely that a person who lives in southwest Missouri just wakes up one morning as a missionary in the villages of Nepal. There are usually a few steps involved. We’ve put together a list of six resources that are a great starting point for anyone interested in learning more about missions.